# To do
Give back the whole of the lines further down with every line break kept.
# Contents
- - -
# 1
The following is a PBE calculation of a relaxed Hg3As2F12 crystal, from the Materials Project.

Properties
theoretical density	5.24	Mg/m³
SG	P2_1/c

a = 8.781 Å, b = 6.118 Å, c = 11.563 Å
α = 87.66°, β = 90.00°, γ = 90.00°
Positions (direct):
As1 0.141 0.701 0.672
As2 0.641 0.299 0.828
As3 0.359 0.701 0.172
As4 0.859 0.299 0.328
F1 0.937 0.301 0.186
F2 0.190 0.824 0.220
F3 0.782 0.309 0.470
F4 0.563 0.301 0.686
F5 0.718 0.309 0.970
F6 0.059 0.958 0.638
F7 0.468 0.425 0.879
F8 0.437 0.699 0.314
F9 0.282 0.691 0.030
F10 0.690 0.176 0.280
F11 0.214 0.433 0.702
F12 0.286 0.433 0.202
F13 0.559 0.042 0.862
F14 0.441 0.958 0.138
F15 0.714 0.567 0.798
F16 0.786 0.567 0.298
F17 0.032 0.425 0.379
F18 0.532 0.575 0.121
F19 0.810 0.176 0.780
F20 0.941 0.042 0.362
F21 0.063 0.699 0.814
F22 0.218 0.691 0.530
F23 0.968 0.575 0.621
F24 0.310 0.824 0.720
Hg1 0.000 0.000 0.000
Hg2 0.500 0.000 0.500
Hg3 0.765 0.761 0.070
Hg4 0.235 0.239 0.930
Hg5 0.735 0.761 0.570
Hg6 0.265 0.239 0.430



# 2
The following is a PBE calculation of a relaxed HgAsF7 crystal, from the Materials Project.

Properties
theoretical density	4.60	Mg/m³
SG	P2_1/c

a = 10.219 Å, b = 7.299 Å, c = 8.110 Å
α = 77.06°, β = 90.00°, γ = 90.00°
Positions (direct):
As1 0.065 0.806 0.297
As2 0.935 0.194 0.703
As3 0.565 0.194 0.203
As4 0.435 0.806 0.797
F1 0.860 0.077 0.892
F2 0.578 0.946 0.745
F3 0.808 0.679 0.849
F4 0.508 0.639 0.693
F5 0.422 0.054 0.255
F6 0.992 0.639 0.193
F7 0.488 0.308 0.009
F8 0.008 0.361 0.807
F9 0.298 0.656 0.851
F10 0.133 0.970 0.405
F11 0.308 0.321 0.651
F12 0.692 0.679 0.349
F13 0.867 0.030 0.595
F14 0.988 0.692 0.491
F15 0.202 0.656 0.351
F16 0.367 0.970 0.905
F17 0.140 0.923 0.108
F18 0.640 0.077 0.392
F19 0.078 0.054 0.755
F20 0.633 0.030 0.095
F21 0.512 0.692 0.991
F22 0.922 0.946 0.245
F23 0.360 0.923 0.608
F24 0.192 0.321 0.151
F25 0.702 0.344 0.149
F26 0.012 0.308 0.509
F27 0.492 0.361 0.307
F28 0.798 0.344 0.649
Hg1 0.752 0.724 0.090
Hg2 0.252 0.276 0.410
Hg3 0.248 0.276 0.910
Hg4 0.748 0.724 0.590



# 3
The following is a PBE calculation of a relaxed AsI2F6 crystal, from the Materials Project.

Properties
theoretical density	3.81	Mg/m³
SG	C2/m
energy relative to the lowest polymorph listed for this composition	0	meV per atom

a = 8.163 Å, b = 8.163 Å, c = 6.033 Å
α = 81.29°, β = 81.29°, γ = 78.44°
Positions (direct):
I1 0.761 0.077 0.894
I2 0.923 0.239 0.106
I3 0.077 0.761 0.894
I4 0.239 0.923 0.106
As1 0.306 0.306 0.432
As2 0.694 0.694 0.568
F1 0.168 0.168 0.567
F2 0.211 0.456 0.616
F3 0.395 0.152 0.241
F4 0.848 0.605 0.759
F5 0.560 0.560 0.718
F6 0.152 0.395 0.241
F7 0.605 0.848 0.759
F8 0.544 0.789 0.384
F9 0.789 0.544 0.384
F10 0.832 0.832 0.433
F11 0.440 0.440 0.282
F12 0.456 0.211 0.616



# 4
The following is a PBE calculation of a relaxed AsI5F6 crystal, from the Materials Project.

Properties
theoretical density	3.84	Mg/m³
SG	C2/c

a = 10.756 Å, b = 10.756 Å, c = 8.905 Å
α = 72.39°, β = 72.39°, γ = 119.79°
Positions (direct):
I1 0.670 0.887 0.060
I2 0.148 0.697 0.568
I3 0.303 0.852 0.932
I4 0.697 0.148 0.068
I5 0.000 0.000 0.000
I6 0.887 0.670 0.560
I7 0.852 0.303 0.432
I8 0.330 0.113 0.940
I9 0.113 0.330 0.440
I10 0.000 0.000 0.500
F1 0.225 0.550 0.922
F2 0.721 0.532 0.314
F3 0.450 0.775 0.578
F4 0.550 0.225 0.422
F5 0.532 0.721 0.814
F6 0.775 0.450 0.078
F7 0.591 0.643 0.579
F8 0.409 0.357 0.421
F9 0.643 0.591 0.079
F10 0.279 0.468 0.686
F11 0.357 0.409 0.921
F12 0.468 0.279 0.186
As1 0.406 0.594 0.750
As2 0.594 0.406 0.250



# 5
The following is a PBE calculation of a relaxed AsI2F6 crystal, from the Materials Project.

Properties
theoretical density	2.53	Mg/m³
SG	C2/m
energy relative to the lowest polymorph listed for this composition	340	meV per atom

a = 9.314 Å, b = 9.314 Å, c = 7.064 Å
α = 79.45°, β = 79.45°, γ = 76.92°
Positions (direct):
F1 0.572 0.987 0.785
F2 0.415 0.415 0.148
F3 0.648 0.648 0.499
F4 0.428 0.013 0.215
F5 0.987 0.572 0.785
F6 0.352 0.352 0.501
F7 0.343 0.597 0.738
F8 0.585 0.585 0.852
- - -
# Reply
# 1
The following is a PBE calculation of a relaxed Hg3As2F12 crystal, from the Materials Project.

Properties
theoretical density	5.24	Mg/m³
SG	P2_1/c

a = 8.781 Å, b = 6.118 Å, c = 11.563 Å
α = 87.66°, β = 90.00°, γ = 90.00°
Positions (direct):
As1 0.141 0.701 0.672
As2 0.641 0.299 0.828
As3 0.359 0.701 0.172
As4 0.859 0.299 0.328
F1 0.937 0.301 0.186
F2 0.190 0.824 0.220
F3 0.782 0.309 0.470
F4 0.563 0.301 0.686
F5 0.718 0.309 0.970
F6 0.059 0.958 0.638
F7 0.468 0.425 0.879
F8 0.437 0.699 0.314
F9 0.282 0.691 0.030
F10 0.690 0.176 0.280
F11 0.214 0.433 0.702
F12 0.286 0.433 0.202
F13 0.559 0.042 0.862
F14 0.441 0.958 0.138
F15 0.714 0.567 0.798
F16 0.786 0.567 0.298
F17 0.032 0.425 0.379
F18 0.532 0.575 0.121
F19 0.810 0.176 0.780
F20 0.941 0.042 0.362
F21 0.063 0.699 0.814
F22 0.218 0.691 0.530
F23 0.968 0.575 0.621
F24 0.310 0.824 0.720
Hg1 0.000 0.000 0.000
Hg2 0.500 0.000 0.500
Hg3 0.765 0.761 0.070
Hg4 0.235 0.239 0.930
Hg5 0.735 0.761 0.570
Hg6 0.265 0.239 0.430



# 2
The following is a PBE calculation of a relaxed HgAsF7 crystal, from the Materials Project.

Properties
theoretical density	4.60	Mg/m³
SG	P2_1/c

a = 10.219 Å, b = 7.299 Å, c = 8.110 Å
α = 77.06°, β = 90.00°, γ = 90.00°
Positions (direct):
As1 0.065 0.806 0.297
As2 0.935 0.194 0.703
As3 0.565 0.194 0.203
As4 0.435 0.806 0.797
F1 0.860 0.077 0.892
F2 0.578 0.946 0.745
F3 0.808 0.679 0.849
F4 0.508 0.639 0.693
F5 0.422 0.054 0.255
F6 0.992 0.639 0.193
F7 0.488 0.308 0.009
F8 0.008 0.361 0.807
F9 0.298 0.656 0.851
F10 0.133 0.970 0.405
F11 0.308 0.321 0.651
F12 0.692 0.679 0.349
F13 0.867 0.030 0.595
F14 0.988 0.692 0.491
F15 0.202 0.656 0.351
F16 0.367 0.970 0.905
F17 0.140 0.923 0.108
F18 0.640 0.077 0.392
F19 0.078 0.054 0.755
F20 0.633 0.030 0.095
F21 0.512 0.692 0.991
F22 0.922 0.946 0.245
F23 0.360 0.923 0.608
F24 0.192 0.321 0.151
F25 0.702 0.344 0.149
F26 0.012 0.308 0.509
F27 0.492 0.361 0.307
F28 0.798 0.344 0.649
Hg1 0.752 0.724 0.090
Hg2 0.252 0.276 0.410
Hg3 0.248 0.276 0.910
Hg4 0.748 0.724 0.590



# 3
The following is a PBE calculation of a relaxed AsI2F6 crystal, from the Materials Project.

Properties
theoretical density	3.81	Mg/m³
SG	C2/m
energy relative to the lowest polymorph listed for this composition	0	meV per atom

a = 8.163 Å, b = 8.163 Å, c = 6.033 Å
α = 81.29°, β = 81.29°, γ = 78.44°
Positions (direct):
I1 0.761 0.077 0.894
I2 0.923 0.239 0.106
I3 0.077 0.761 0.894
I4 0.239 0.923 0.106
As1 0.306 0.306 0.432
As2 0.694 0.694 0.568
F1 0.168 0.168 0.567
F2 0.211 0.456 0.616
F3 0.395 0.152 0.241
F4 0.848 0.605 0.759
F5 0.560 0.560 0.718
F6 0.152 0.395 0.241
F7 0.605 0.848 0.759
F8 0.544 0.789 0.384
F9 0.789 0.544 0.384
F10 0.832 0.832 0.433
F11 0.440 0.440 0.282
F12 0.456 0.211 0.616



# 4
The following is a PBE calculation of a relaxed AsI5F6 crystal, from the Materials Project.

Properties
theoretical density	3.84	Mg/m³
SG	C2/c

a = 10.756 Å, b = 10.756 Å, c = 8.905 Å
α = 72.39°, β = 72.39°, γ = 119.79°
Positions (direct):
I1 0.670 0.887 0.060
I2 0.148 0.697 0.568
I3 0.303 0.852 0.932
I4 0.697 0.148 0.068
I5 0.000 0.000 0.000
I6 0.887 0.670 0.560
I7 0.852 0.303 0.432
I8 0.330 0.113 0.940
I9 0.113 0.330 0.440
I10 0.000 0.000 0.500
F1 0.225 0.550 0.922
F2 0.721 0.532 0.314
F3 0.450 0.775 0.578
F4 0.550 0.225 0.422
F5 0.532 0.721 0.814
F6 0.775 0.450 0.078
F7 0.591 0.643 0.579
F8 0.409 0.357 0.421
F9 0.643 0.591 0.079
F10 0.279 0.468 0.686
F11 0.357 0.409 0.921
F12 0.468 0.279 0.186
As1 0.406 0.594 0.750
As2 0.594 0.406 0.250



# 5
The following is a PBE calculation of a relaxed AsI2F6 crystal, from the Materials Project.

Properties
theoretical density	2.53	Mg/m³
SG	C2/m
energy relative to the lowest polymorph listed for this composition	340	meV per atom

a = 9.314 Å, b = 9.314 Å, c = 7.064 Å
α = 79.45°, β = 79.45°, γ = 76.92°
Positions (direct):
F1 0.572 0.987 0.785
F2 0.415 0.415 0.148
F3 0.648 0.648 0.499
F4 0.428 0.013 0.215
F5 0.987 0.572 0.785
F6 0.352 0.352 0.501
F7 0.343 0.597 0.738
F8 0.585 0.585 0.852